**Job**
Reproduce the lines underneath up to the one that holds "159", that line included.

**Listing**
Record 1
VASP calculation (GGA-PBE) on crystalline Pm3Y2Er6 at its relaxed geometry.

Cell lengths 6.150, 7.967, 16.370 Å; angles 50.43, 63.74, 104.75 degrees
Positions (direct):
Er 0.091 0.544 0.364
Er 0.269 0.635 0.093
Er 0.364 0.180 0.455
Er 0.731 0.365 0.907
Er 0.636 0.820 0.545
Er 0.909 0.456 0.636
Y 0.543 0.271 0.183
Y 0.457 0.729 0.817
Pm 0.000 0.000 0.000
Pm 0.815 0.905 0.274
Pm 0.185 0.095 0.726

Results
Offset from the most stable computed form, eV per formula unit: 0.00
Energy, eV for the cell shown: -54.34
SG: P-1
Magnetization, μB/cell: 0.0
ΔE_f, meV/atom: 20

***

Record 2
VASP calculation (GGA-PBE) on crystalline Pm3Y3Er at its relaxed geometry.

Cell lengths 5.762, 9.656, 9.656 Å; angles 120.00, 90.00, 90.00 degrees
Positions (direct):
Y 0.750 0.618 0.523
Y 0.250 0.523 0.905
Y 0.750 0.477 0.095
Y 0.750 0.905 0.382
Y 0.250 0.095 0.618
Y 0.250 0.382 0.477
Pm 0.250 0.808 0.759
Pm 0.750 0.049 0.808
Pm 0.750 0.759 0.951
Pm 0.250 0.951 0.192
Pm 0.250 0.241 0.049
Pm 0.750 0.192 0.241
Er 0.750 0.333 0.667
Er 0.250 0.667 0.333

Results
Offset from the most stable computed form, eV per formula unit: 0.00
Energy, eV for the cell shown: -76.19
SG: P6_3/m
Magnetization, μB/cell: 0.0
ΔE_f, meV/atom: 16

***

Record 3
VASP calculation (GGA-PBE) on crystalline Pm3YEr4 at its relaxed geometry.

Cell lengths 3.483, 6.703, 11.884 Å; angles 106.44, 98.43, 90.00 degrees
Positions (direct):
Pm 0.127 0.880 0.255
Pm 0.873 0.120 0.745
Pm 0.000 0.500 0.000
Er 0.125 0.365 0.251
Er 0.260 0.751 0.520
Er 0.740 0.249 0.480
Er 0.875 0.635 0.749
Y 0.500 0.000 0.000

Results
Offset from the most stable computed form, eV per formula unit: 1.13
Energy, eV for the cell shown: -37.70
SG: C2/m
Magnetization, μB/cell: 0.0
ΔE_f, meV/atom: 159

=====

A plane-wave DFT calculation with GGA-PBE was carried out for crystalline ZrTeRh2F at its relaxed geometry.

Properties
Density of states at the Fermi level ... 1.10 states/eV/atom
Uncorrected formation energy ... -0.264 eV/atom
Spin magnetization ... 0.000 Bohr magnetons per cell
Space-group type ... P4/mmm

a = 4.613 Å, b = 4.142 Å, c = 4.613 Å
α = 90.00°, β = 90.00°, γ = 90.00°
Fractional coordinates of all 5 atoms:
Te1 0.500 0.500 0.500
Rh1 0.000 0.000 0.500
Rh2 0.500 0.000 0.000
Zr1 0.000 0.500 0.000
F1 0.000 0.000 0.000

**Here it is**
Record 1
VASP calculation (GGA-PBE) on crystalline Pm3Y2Er6 at its relaxed geometry.

Cell lengths 6.150, 7.967, 16.370 Å; angles 50.43, 63.74, 104.75 degrees
Positions (direct):
Er 0.091 0.544 0.364
Er 0.269 0.635 0.093
Er 0.364 0.180 0.455
Er 0.731 0.365 0.907
Er 0.636 0.820 0.545
Er 0.909 0.456 0.636
Y 0.543 0.271 0.183
Y 0.457 0.729 0.817
Pm 0.000 0.000 0.000
Pm 0.815 0.905 0.274
Pm 0.185 0.095 0.726

Results
Offset from the most stable computed form, eV per formula unit: 0.00
Energy, eV for the cell shown: -54.34
SG: P-1
Magnetization, μB/cell: 0.0
ΔE_f, meV/atom: 20

***

Record 2
VASP calculation (GGA-PBE) on crystalline Pm3Y3Er at its relaxed geometry.

Cell lengths 5.762, 9.656, 9.656 Å; angles 120.00, 90.00, 90.00 degrees
Positions (direct):
Y 0.750 0.618 0.523
Y 0.250 0.523 0.905
Y 0.750 0.477 0.095
Y 0.750 0.905 0.382
Y 0.250 0.095 0.618
Y 0.250 0.382 0.477
Pm 0.250 0.808 0.759
Pm 0.750 0.049 0.808
Pm 0.750 0.759 0.951
Pm 0.250 0.951 0.192
Pm 0.250 0.241 0.049
Pm 0.750 0.192 0.241
Er 0.750 0.333 0.667
Er 0.250 0.667 0.333

Results
Offset from the most stable computed form, eV per formula unit: 0.00
Energy, eV for the cell shown: -76.19
SG: P6_3/m
Magnetization, μB/cell: 0.0
ΔE_f, meV/atom: 16

***

Record 3
VASP calculation (GGA-PBE) on crystalline Pm3YEr4 at its relaxed geometry.

Cell lengths 3.483, 6.703, 11.884 Å; angles 106.44, 98.43, 90.00 degrees
Positions (direct):
Pm 0.127 0.880 0.255
Pm 0.873 0.120 0.745
Pm 0.000 0.500 0.000
Er 0.125 0.365 0.251
Er 0.260 0.751 0.520
Er 0.740 0.249 0.480
Er 0.875 0.635 0.749
Y 0.500 0.000 0.000

Results
Offset from the most stable computed form, eV per formula unit: 1.13
Energy, eV for the cell shown: -37.70
SG: C2/m
Magnetization, μB/cell: 0.0
ΔE_f, meV/atom: 159